材料の原子配列をひずませることで、よりクリーンでスマートなデバイスができるかもしれない(Straining a material’s atomic arrangement may make for cleaner, smarter devices)


2024-12-05 ペンシルベニア州立大学(PennState)



== Inserted here: materials data ==
<<<
Calculated XRD peak list of Mg2AlGe2Pt5 for CuKα, from a GGA-PBE-relaxed structure.
Lines closer than 0.1° are merged.

Top 8 peaks for 5 to 70 degrees two-theta, in order of rising 2θ:
hkl 2 2 0, 25.20 deg, I 427; hkl 0 0 1, 26.88 deg, I 666; hkl 4 0 0, 35.93 deg, I 343; hkl 2 2 1, 37.15 deg, I 611; hkl 3 3 0, 38.19 deg, I 763; hkl 3 1 1, 39.38 deg, I 1000; hkl 4 0 1, 45.44 deg, I 820; hkl 3 3 1, 47.32 deg, I 384

Structural model:
Lattice parameters (Å, degrees): 9.998 9.998 3.316 90.00 90.00 90.00
Space group P4/mbm (No. 127)
One atom of each set of equivalent atoms:
Mg 0.168 0.332 0.000 x4
Al 0.000 0.000 0.000 x2
Ge 0.140 0.640 0.000 x4
Pt 0.000 0.500 0.500 x2
Pt 0.022 0.796 0.500 x8
>>>
== End of the materials data ==

KNbO3薄膜における強誘電転移の巨大なひずみ制御 Colossal Strain Tuning of Ferroelectric Transitions in KNbO3 Thin Films

Sankalpa Hazra, Tobias Schwaigert, Aiden Ross, Haidong Lu, Utkarsh Saha, Victor Trinquet, Betul Akkopru-Akgun, Benjamin Z. Gregory, Anudeep Mangu, Suchismita Sarker …
Advanced Materials  Published: 12 November 2024

Details are in the caption following the image


Strong coupling between polarization (P) and strain (ɛ) in ferroelectric complex oxides offers unique opportunities to dramatically tune their properties. Here colossal strain tuning of ferroelectricity in epitaxial KNbO3 thin films grown by sub-oxide molecular beam epitaxy is demonstrated. While bulk KNbO3 exhibits three ferroelectric transitions and a Curie temperature (Tc) of ≈676 K, phase-field modeling predicts that a biaxial strain of as little as −0.6% pushes its Tc > 975 K, its decomposition temperature in air, and for −1.4% strain, to Tc > 1325 K, its melting point. Furthermore, a strain of −1.5% can stabilize a single phase throughout the entire temperature range of its stability. A combination of temperature-dependent second harmonic generation measurements, synchrotron-based X-ray reciprocal space mapping, ferroelectric measurements, and transmission electron microscopy reveal a single tetragonal phase from 10 K to 975 K, an enhancement of ≈46% in the tetragonal phase remanent polarization (Pr), and a ≈200% enhancement in its optical second harmonic generation coefficients over bulk values. These properties in a lead-free system, but with properties comparable or superior to lead-based systems, make it an attractive candidate for applications ranging from high-temperature ferroelectric memory to cryogenic temperature quantum computing.

歪みSrTiO3における室温強誘電性 Room-temperature ferroelectricity in strained SrTiO3

J. H. Haeni,P. Irvin,W. Chang,R. Uecker,P. Reiche,Y. L. Li,S. Choudhury,W. Tian,M. E. Hawley,B. Craigo,A. K. Tagantsev,X. Q. Pan,S. K. Streiffer,L. Q. Chen,S. W. Kirchoefer,J. Levy & D. G. Schlom
Nature  Accepted:22 June 2004

extended data figure 1


Systems with a ferroelectric to paraelectric transition in the vicinity of room temperature are useful for devices. Adjusting the ferroelectric transition temperature (Tc) is traditionally accomplished by chemical substitution—as in BaxSr1-xTiO3, the material widely investigated for microwave devices in which the dielectric constant (εr) at GHz frequencies is tuned by applying a quasi-static electric field1,2. Heterogeneity associated with chemical substitution in such films, however, can broaden this phase transition by hundreds of degrees3, which is detrimental to tunability and microwave device performance. An alternative way to adjust Tc in ferroelectric films is strain4,5,6,7,8. Here we show that epitaxial strain from a newly developed substrate can be harnessed to increase Tc by hundreds of degrees and produce room-temperature ferroelectricity in strontium titanate, a material that is not normally ferroelectric at any temperature. This strain-induced enhancement in Tc is the largest ever reported. Spatially resolved images of the local polarization state reveal a uniformity that far exceeds films tailored by chemical substitution. The high εr at room temperature in these films (nearly 7,000 at 10 GHz) and its sharp dependence on electric field are promising for device applications1,2.
